Activity
Now repeat only the lines further below with the word "xyz" in them.

Entries
/*
{
  "formula": "C5H12N2O5P",
  "method": "ωB97M-V/def2-TZVPD",
  "species": ["C", "C", "O", "N", "O", "C", "C", "C", "O", "P", "N", "O", "O", "H", "H", "H", "H", "H", "H", "H", "H", "H", "H", "H", "H"],
  "coordinates": [[1.99, 1.71, -2.06], [0.63, 1.53, -1.18], [0.57, 0.12, -0.81], [-0.42, -0.24, 0.14], [-1.73, -0.09, -0.52], [-2.55, 0.72, 0.42], [-1.94, 1.06, 1.82], [-0.05, -1.26, 1.07], [-0.75, -1.51, 2.02], [1.67, -2.10, 0.78], [0.82, -3.13, -0.32], [2.73, -1.24, 0.17], [1.98, -2.90, 1.97], [2.55, 2.59, -1.71], [2.60, 0.81, -2.16], [1.74, 1.91, -3.15], [-0.07, 1.83, -1.92], [0.46, 2.15, -0.31], [-3.10, 1.47, -0.16], [-3.28, 0.01, 0.76], [-0.88, 1.39, 1.68], [-2.47, 1.80, 2.43], [-1.88, 0.18, 2.49], [1.15, -4.08, -0.44], [0.22, -2.72, -1.00]],
  "relative_energy_ev": 0.0128,
  "smiles": "CCON(OCC)C(=O)[P@@](N)(=O)[O-]",
  "total_charge": -1,
  "e_tot_ev": -27884.703,
  "multiplicity": 1,
  "homo_energy_ev": -4.6535,
  "orbital_gap_ev": 7.9847,
  "e_lumo_ev": 3.3312
}

* * * * *

1.
This record from the Open Molecules 2025 dataset describes a cluster of 8 separate species, C18H42N7O12 in total at a distorted geometry. The level of theory is wB97M-V/def2-TZVPD.

Structure (ORCA input):
```
! wB97M-V def2-TZVPD RIJCOSX def2/J DEFGRID3
* xyz -1 1
N 0.108 -0.601 1.133
O 0.825 -0.699 2.135
O 0.316 -1.329 0.123
O -0.807 0.267 1.065
C -6.282 -5.819 0.614
O -5.098 -5.153 0.276
C -4.770 -4.051 0.967
O -5.324 -3.708 1.979
O -3.754 -3.464 0.372
C -3.565 -2.073 0.518
H -6.187 -6.863 0.320
H -7.167 -5.441 0.095
H -6.501 -5.776 1.682
H -4.065 -1.636 1.379
H -3.891 -1.521 -0.369
H -2.508 -1.810 0.534
C 1.991 -0.199 -3.160
C 3.433 -0.381 -3.618
O 4.229 0.539 -3.501
N 3.745 -1.602 -4.104
C 5.121 -1.977 -4.395
H 1.327 -0.881 -3.694
H 1.734 0.827 -3.415
H 1.943 -0.320 -2.080
H 3.072 -2.324 -3.917
H 5.314 -3.042 -4.496
H 5.732 -1.584 -3.581
H 5.379 -1.548 -5.365
C 0.190 2.240 3.533
C 0.142 3.552 4.272
O -0.308 3.665 5.402
N 0.630 4.574 3.522
C 0.810 5.922 4.086
H -0.630 2.208 2.813
H 0.114 1.397 4.210
H 1.097 2.216 2.928
H 0.998 4.386 2.603
H 0.949 6.596 3.247
H 1.554 5.952 4.878
H -0.168 6.132 4.527
C 0.109 3.052 -0.156
C 1.485 3.683 -0.171
O 2.003 4.186 0.815
N 2.114 3.642 -1.383
C 3.433 4.154 -1.650
H 0.082 2.152 -0.770
H -0.513 3.750 -0.730
H -0.257 2.858 0.844
H 1.439 3.735 -2.129
H 3.416 5.086 -2.219
H 4.033 3.437 -2.211
H 3.979 4.344 -0.728
O -4.601 1.814 3.972
C -3.790 1.091 3.385
N -3.305 1.448 2.184
C -3.166 -0.120 4.041
H -3.515 2.363 1.829
H -2.494 0.966 1.812
H -2.349 0.237 4.665
H -2.732 -0.793 3.299
H -3.951 -0.638 4.584
O -2.366 -1.035 -4.054
C -1.770 -0.861 -2.989
N -1.485 -1.914 -2.179
C -1.394 0.499 -2.479
H -1.878 -2.804 -2.417
H -1.042 -1.703 -1.295
H -0.800 0.410 -1.566
H -2.284 1.062 -2.189
H -0.870 1.095 -3.223
O 4.161 -2.529 0.237
C 3.679 -3.128 -0.713
N 2.408 -2.905 -1.125
C 4.490 -4.164 -1.463
H 1.875 -2.252 -0.550
H 2.056 -3.394 -1.924
H 5.429 -3.871 -1.926
H 3.863 -4.683 -2.196
H 4.781 -4.939 -0.750
*
```

Results
- E_tot: -1997.34616 Eh
- HOMO level: -6.8 eV
- Gap between HOMO and LUMO: 9.13 eV
- LUMO level: 2.286 eV

Löwdin population analysis, charges in e, atoms 1 to 8: atom 1 (N): -0.545, atom 2 (O): 0.022, atom 3 (O): -0.099, atom 4 (O): -0.091, atom 5 (C): -0.071, atom 6 (O): 0.003, atom 7 (C): -0.604, atom 8 (O): 0.126

=====

2.
This record from the Open Molecules 2025 dataset describes an isolated molecule of C5H13NO at a distorted geometry. The level of theory is wB97M-V/def2-TZVPD.

Structure (ORCA input):
```
! wB97M-V def2-TZVPD RIJCOSX def2/J DEFGRID3
* xyz 0 1
C -0.026 2.084 1.124
N 0.490 0.975 0.357
C -0.257 -0.251 0.378
C 0.046 -1.062 -0.939
C -0.461 -0.201 -2.107
O 1.416 -1.254 -0.810
C 0.039 -1.045 1.637
H 0.648 2.905 1.465
H -0.788 2.675 0.591
H -0.575 1.750 2.061
H 1.073 0.890 -0.464
H -1.306 -0.026 0.292
H -0.347 -2.229 -0.907
H -1.595 -0.025 -2.042
H 0.033 0.753 -2.118
H -0.180 -0.627 -3.067
H 1.712 -2.049 -1.222
H 1.065 -0.966 1.926
H -0.482 -1.953 1.565
H -0.505 -0.345 2.281
*
```

Results
*/

Worked solution
* xyz -1 1
* xyz 0 1